Reber's chocolate dancing dream ends in meltdown

When life is hard and one's daily tasks are tiresome, what better tonic is there than a bit of chocolate?  This Kat can't actually offer you any, but the next best thing is a guest post from Katfriend and occasional contributor Valentina Torelli on a ruling from Europe's top court today on a trade mark for chocolate. This decision establishes, among other things, that when it comes to assessing whether there has been genuine use of a trade mark or not, the fact that a trade mark owner is a multinational corporation or only a small or medium sized enterprise (SME) is irrelevant and will not therefore be taken into consideration,.  Valentina explains as follows:
Chocolate symphonies are not so rare in the European Union, as it seems from a case on which the Court of Justice of the European Union (CJEU) pronounced today. The Court ruled on the bitter-sweet issue of the genuine use of an earlier national trade mark for the purposes of proof of use within an opposition proceeding before the OHIM (Case C-141/13 P Reber Holding GmbH & Co. KG v OHIM, Wedl & Hofmann GmbH) .

The entry is interrupted by records of crystals =
┌──
Entry from the Materials Project database: a geometry-optimized Co3W3C structure (GGA-PBE).

POSCAR file:
```
Co3W3C
1.0
0.000 5.548 5.548
5.548 0.000 5.548
5.548 5.548 0.000
Co W C
12 12 4
direct
0.000 0.000 0.000 Co
0.000 0.000 0.500 Co
0.000 0.500 0.000 Co
0.115 0.795 0.795 Co
0.205 0.205 0.205 Co
0.205 0.205 0.885 Co
0.205 0.885 0.205 Co
0.500 0.000 0.000 Co
0.795 0.115 0.795 Co
0.795 0.795 0.115 Co
0.795 0.795 0.795 Co
0.885 0.205 0.205 Co
0.172 0.172 0.578 W
0.172 0.578 0.172 W
0.172 0.578 0.578 W
0.422 0.422 0.828 W
0.422 0.828 0.422 W
0.422 0.828 0.828 W
0.578 0.172 0.172 W
0.578 0.172 0.578 W
0.578 0.578 0.172 W
0.828 0.422 0.422 W
0.828 0.422 0.828 W
0.828 0.828 0.422 W
0.000 0.500 0.500 C
0.500 0.000 0.500 C
0.500 0.500 0.000 C
0.500 0.500 0.500 C
```

Calculated values
The formation energy comes out at 0.006 eV/atom. The value obtained for the size of the total moment is 0.2 μB per formula unit. The crystal system is cubic. The total energy is -9.913 eV per atom. The calculated volume is 12.2 A^3/atom.


# 1
XeF4: relaxed, r2SCAN.

Cell: 4.971 5.893 5.689 Å, 90.00 90.00 100.84°
Fractional coordinates of all 10 atoms:
Xe 0.500 0.500 0.500
Xe 0.000 0.000 0.000
F 0.215 0.651 0.656
F 0.285 0.849 0.156
F 0.250 0.312 0.020
F 0.250 0.188 0.520
F 0.750 0.688 0.980
F 0.750 0.812 0.480
F 0.715 0.151 0.844
F 0.785 0.349 0.344

Computed properties:
**Magnetic moment**: 0.00 μB per formula unit
**V**: 163.7 Å³ per cell
**Space-group type**: P2_1/c (14)
**ΔH_f (0 K)**: -2.3 eV per formula unit

---

# 2
YF3: relaxed, r2SCAN.

Cell: 6.759 6.759 6.944 Å, 90.00 90.00 120.00°
Fractional coordinates of all 24 atoms:
Y 0.345 0.345 0.750
Y 0.655 0.000 0.750
Y 0.000 0.655 0.750
Y 0.345 0.000 0.250
Y 0.000 0.345 0.250
Y 0.655 0.655 0.250
F 0.693 0.626 0.579
F 0.374 0.067 0.579
F 0.933 0.307 0.579
F 0.693 0.067 0.079
F 0.933 0.626 0.079
F 0.374 0.307 0.079
F 0.307 0.374 0.421
F 0.626 0.933 0.421
F 0.067 0.693 0.421
F 0.307 0.933 0.921
F 0.067 0.374 0.921
F 0.626 0.693 0.921
F 0.333 0.667 0.682
F 0.333 0.667 0.182
F 0.667 0.333 0.318
F 0.667 0.333 0.818
F 0.000 0.000 0.750
F 0.000 0.000 0.250

Computed properties:
**Magnetic moment**: 0.00 μB per formula unit
**V**: 274.8 Å³ per cell
**Space-group type**: P-3c1 (165)
**ΔH_f (0 K)**: -17.8 eV per formula unit

---

# 3
YF3: relaxed, r2SCAN.

Cell: 4.355 6.388 6.856 Å, 90.00 90.00 90.00°
Fractional coordinates of all 16 atoms:
Y 0.937 0.631 0.750
Y 0.437 0.869 0.250
Y 0.563 0.131 0.750
Y 0.063 0.369 0.250
F 0.381 0.166 0.437
F 0.881 0.334 0.563
F 0.119 0.666 0.063
F 0.619 0.834 0.937
F 0.586 0.522 0.250
F 0.086 0.978 0.750
F 0.914 0.022 0.250
F 0.414 0.478 0.750
F 0.381 0.166 0.063
F 0.881 0.334 0.937
F 0.119 0.666 0.437
F 0.619 0.834 0.563

Computed properties:
**Magnetic moment**: 0.00 μB per formula unit
**V**: 190.8 Å³ per cell
**Space-group type**: Pnma (62)
**ΔH_f (0 K)**: -17.9 eV per formula unit


1.
└──
End of the records of crystals =

Austrian company Wedl & Hofmann (W&H) applied to register the figurative mark on the left, mainly featuring the word 'Walzertraum', as a Community trade mark (CTM) for 'coffee; instant coffee; decaffeinated coffee; sugar' (Class 30), on 16 August 2005. A few days after the publication of the CTM application, on 13 February 2006, German company Reber opposed, claiming a likelihood of confusion with its earlier national word mark 'Walzetraum', registered for 'bakery products, confectionery, chocolate and sugar confectionery' (also in Class 30), citing Article 8(1)(b) of Regulation 207/2009.

W&H cleverly asked for the proof of use of the German Walzertraum mark, which divided the Opposition Division (which upheld the opposition) and the Fourth Board of Appeal (which annulled that decision) as to the sufficient probative value of the following documents submitted by the German company:
1. A written statement of Reber's manager, dated 31 January 2007;

2. Two undated photographs displaying the Reber confectionery;

3. Copies of the chocolates' monthly lists of sales for the period from March 2001 to December 2002;

4. Excerpts from Reber's website, displaying different kinds of chocolate marketed by the company, dated 30 March 2004 and 23 January 2007.
The Board of Appeal concluded that Reber had not proved genuine use of its national mark between the relevant period from 13 February 2001 to 12 February 2006. Some of evidence fell outside that period, while the other documents -- although belonging to that time frame -- were insufficient to sustain proof of use under Rule 22(3) of Regulation 2868/95 (which implements the CTM Regulation). Said the Board of Appeal, the extent and the nature of the use of the Walzertaum mark could not qualify it as genuine, considering that the mark had been geographically and quantitatively limited to a local and narrow exploitation.

On appeal to the General Court, Reber presented two pleas in law. The first plea concerned the wrong interpretation of Articles 42(2) and 42(3) of Regulation 207/2009, alleging that the Board of Appeal erroneously denied that there had been genuine use of its Walzertrum mark, given the volume of the sales and the number of sale points. The second plea referred to the violation of the principle of equal treatment, in that Reber was discriminated against in comparison to multinational companies: for an SME the proof of use is much more complicated when it comes to consideration of the volume of sales and, in the present case, that issue was treated differently from a previous dispute (R 1101/2004-1) in which, on the contrary, it succeeded in establishing proof of use of one of its marks in similar conditions, where the goods at issue were pralines.

As to the first plea in law, the General Court upheld the Board of Appeal's decision, only disagreeing as to whether the two undated photographs could serve to prove the genuine use. As to the substance of the matter, the Court did not contest that the German Walzertraum mark had been exploited but simply affirmed that such use could not amount to the level of genuine use required by the CTM Regulation: all the facts and circumstances of the case must be taken into account in assessing the reality of the genuine use of a trade mark, particularly in view of maintaining or creating a market share for the goods or services protected by the mark. In this regard the Court's overall assessment, based on the connection between the volume of the sales with the nature and characteristics of the goods (are consumer goods, for which the earlier mark is registered together with the geographical coverage of its use), was decisive. However, while it is not necessary that the use of the mark always be quantitatively significant to be deemed genuine, the annual sale of 40-60 kg of chocolates from March 2001 to December 2012, directed to some 80 million German consumers and which  occurred solely at the Reber confectionery in Bad Reichenhall, a town of 18,000 inhabitants, did not match the requirements of Article 42(3) of Regulation 207/2009. Further, the Court stated that the artisanal production of the chocolates and their related distribution method played no role in the assessment of genuine use, as was the case for the marketing on the internet, which incidentally only related to Reber confectionery but not the Walzertraum mark.

Finally, the General Court rejected that argument that OHIM violated the principle of equal treatment by reaching a different solution in similar cases concerning the same opponent, as that principle must be applied in the respect of the principle of legality. The Court emphasised that the registration of a trade mark depends on specific criteria which apply according to the circumstances on a case-by-case basis. Neither OHIM nor the European courts are bound by national case-law (in this case a decision of the German Bundespatentgericht) since the national and the Community trade mark systems are autonomous.

As to the second plea in law, the General Court simply stated that there is no difference between SMEs and multinational companies in the assessment on the genuine use of a trade mark. Citing the VITAFRUIT decision (Case T-203/02), the Court said:
When assessing whether use of the trade mark is genuine, regard must be had to all the facts and circumstances relevant to establishing whether the commercial exploitation of the mark is real, particularly whether such use is viewed as warranted in the economic sector concerned to maintain or create a share in the market for the products or services protected by the mark, the nature of those products or services, the characteristics of the market and the scale and frequency of use of the mark.
Consequently, the appreciation of the genuine use regards the same objective criteria irrespectively to the size of the company concerned.

**The piece is interrupted by records of crystals:**
<<<
An optimized crystal structure of CrCoSi, computed with PBE-GGA.

Values from the calculation:
Formation energy   -1.01 eV per formula unit
Space group   Pnma

Cell lengths 5.756, 3.601, 6.717 Å; angles 90.00, 90.00, 90.00 degrees
Positions (direct):
Cr 0.026 0.250 0.178
Cr 0.474 0.750 0.678
Cr 0.526 0.250 0.322
Cr 0.974 0.750 0.822
Co 0.146 0.250 0.558
Co 0.354 0.750 0.058
Co 0.646 0.250 0.942
Co 0.854 0.750 0.442
Si 0.239 0.750 0.375
Si 0.261 0.250 0.875
Si 0.739 0.750 0.125
Si 0.761 0.250 0.625

~~~~~

The following is a DFT calculation (GGA-PBE) of an optimized crystal structure of K2RbInF6.

Properties
Its volume is 21.212 A^3/atom. Its total energy after the MP2020 corrections is -4.663 eV/atom. As for the size of the total moment: 0.00 μB per cell. For the uncorrected energy, the calculation gives -4.386 eV per atom. For the formation energy from the elements, the calculation gives -29.19 eV per formula unit.

Geometry as POSCAR:
```
K2RbInF6
1.0
5.504 0.544 3.771
0.006 4.021 5.352
0.112 -2.624 6.158
F K Rb In
6 2 1 1
Cartesian
1.252 2.667 6.368
1.310 -1.028 6.816
4.308 0.734 5.489
4.371 -0.725 8.912
1.314 1.208 9.791
4.312 2.969 8.465
1.406 0.485 3.820
4.217 1.456 11.460
2.811 0.971 7.640
0.000 0.000 0.000
```

The following is a DFT calculation (GGA-PBE) of an optimized crystal structure of K2ScInF6.

Properties
Its volume is 19.809 A^3/atom. Its total energy after the MP2020 corrections is -5.547 eV/atom. As for the size of the total moment: 0.00 μB per cell. For the uncorrected energy, the calculation gives -5.269 eV per atom. For the formation energy from the elements, the calculation gives -32.67 eV per formula unit.

Geometry as POSCAR:
```
K2ScInF6
1.0
0.388 -5.525 -3.484
-1.210 -5.761 2.857
-5.440 -3.314 -1.495
F K Sc In
6 2 1 1
Cartesian
-4.425 -5.067 -1.304
-5.103 -8.295 0.296
-1.159 -6.305 -2.419
-4.207 -8.163 -3.256
-2.055 -6.438 1.134
-1.837 -9.534 -0.818
-1.565 -3.650 -0.531
-4.696 -10.950 -1.592
0.000 0.000 0.000
-3.131 -7.300 -1.061
```

The following is a DFT calculation (GGA-PBE) of an optimized crystal structure of K2YInF6.

Properties
Its volume is 21.771 A^3/atom. Its total energy after the MP2020 corrections is -5.553 eV/atom. As for the size of the total moment: 0.00 μB per cell. For the uncorrected energy, the calculation gives -5.276 eV per atom. For the formation energy from the elements, the calculation gives -32.60 eV per formula unit.

Geometry as POSCAR:
```
K2YInF6
1.0
0.000 4.775 4.775
4.775 0.000 4.775
4.775 4.775 0.000
F In K Y
6 1 2 1
Cartesian
4.775 4.775 2.183
4.775 7.367 4.775
2.183 4.775 4.775
4.775 4.775 7.367
7.367 4.775 4.775
4.775 2.183 4.775
4.775 4.775 4.775
2.387 2.387 2.387
7.162 7.162 7.162
0.000 0.000 0.000
```

~~~~~

1.
VASP calculation (PBE) on a relaxed LiTbS2 crystal.

Properties
- formation energy (kJ/mol of atoms) = -201.77
- space group = R-3m, No. 166

```
data_LiTbS2
_chemical_formula_sum 'Li1 Tb1 S2'
_cell_length_a 6.5944
_cell_length_b 6.5944
_cell_length_c 6.5944
>>>
**The records of crystals stop here:**

Reber then appealed on the same two grounds to the CJEU, which upheld the General Court's decision and, in doing so, clarified some essential features of the assessment of genuine use under its own case-law.

First it stated that the scope of the genuine use requirement is strictly connected to the essential function of the trade mark as a business identifier, in connection with the goods and services for which it is registered. That said, use is genuine when it is directed at creating or maintaining a market share in the sector concerned for those goods and services. The CJEU added that, in order to establish a real genuine use of the Walzertraum mark, all the facts and circumstances of the case have to be considered, according to the guidelines provided by Rule 22 of Regulation 2868/95, as modified by the Regulation 1041/2005, which reads:
The indications and evidence for the furnishing of proof of use shall consist of indications concerning the place, time, extent and nature of use of the opposing trade mark for the goods and services in respect of which it is registered and on which the opposition is based, and evidence in support of these indications in accordance with paragraph 4.
The Court of Justice concluded that the General Court did not err in applying the concept of genuine use: the assessment of the genuine use cannot be limited to the finding of any mere use of the mark since not every commercial exploitation of a trade mark can be automatically qualified as genuine use.

As to the General Court's identification of the market sector in the assessment of the genuine use, the CJEU affirmed that Walzertraum's real and effective use had to be analysed in respect of chocolates, not pralines, as Reber claimed.  The CJEU explained that the appreciation of the genuine use must be based on the products and services specified in the trade mark application and not on a certain marketing concept. As a result, the alleged artisanal character of the Walzertraum chocolates should not to be taken into account when assessing the mark's genuine use.

-- What comes next are crystal structures, not part of the piece --
<<<
Ti3Zn2O8 after structural relaxation. Source: the Materials Project, functional PBE.

```
Ti3Zn2O8
1.0
3.0067 1.7359 4.7951
-3.0067 1.7359 4.7951
0.0000 -3.4718 4.7951
Ti Zn O
3 2 8
direct
0.0000 0.5000 0.5000 Ti
0.5000 0.0000 0.5000 Ti
0.5000 0.5000 0.0000 Ti
0.1156 0.1156 0.1156 Zn
0.8844 0.8844 0.8844 Zn
0.2475 0.2475 0.7126 O
0.2475 0.7126 0.2475 O
0.2568 0.2568 0.2568 O
0.2874 0.7525 0.7525 O
0.7126 0.2475 0.2475 O
0.7432 0.7432 0.7432 O
0.7525 0.2874 0.7525 O
0.7525 0.7525 0.2874 O
```

Summary:
**Total energy**: -97.88 eV for the cell shown
**E (MP2020)**: -103.4 eV/cell
**M_tot**: 0.00 Bohr magnetons per cell
**Offset from the most stable computed form**: 1.15 eV per formula unit

Ti3Zn2O8 after structural relaxation. Source: the Materials Project, functional PBE.

```
Ti3Zn2O8
1.0
5.9669 0.0000 0.0000
-2.9834 5.1675 0.0000
0.0000 0.0000 9.5532
Ti Zn O
6 4 16
direct
0.1627 0.3254 0.0000 Ti
0.1627 0.8373 0.0000 Ti
0.3254 0.1627 0.5000 Ti
0.6746 0.8373 0.0000 Ti
0.8373 0.1627 0.5000 Ti
0.8373 0.6746 0.5000 Ti
0.3333 0.6667 0.2853 Zn
0.3333 0.6667 0.6743 Zn
0.6667 0.3333 0.1743 Zn
0.6667 0.3333 0.7853 Zn
0.0000 0.0000 0.1064 O
0.0000 0.0000 0.6064 O
0.0361 0.5181 0.1221 O
0.1630 0.3259 0.4023 O
0.1630 0.8370 0.4023 O
0.3259 0.1630 0.9023 O
0.3333 0.6667 0.8894 O
0.4819 0.5181 0.1221 O
0.4819 0.9639 0.1221 O
0.5181 0.0361 0.6221 O
0.5181 0.4819 0.6221 O
0.6667 0.3333 0.3894 O
0.6741 0.8370 0.4023 O
0.8370 0.1630 0.9023 O
0.8370 0.6741 0.9023 O
0.9639 0.4819 0.6221 O
```

Summary:
**Total energy**: -196.88 eV for the cell shown
**E (MP2020)**: -207.9 eV/cell
**M_tot**: 0.00 Bohr magnetons per cell
**Offset from the most stable computed form**: 0.58 eV per formula unit

TiZnO3 after structural relaxation. Source: the Materials Project, functional PBE.

```
TiZnO3
1.0
3.8431 0.0000 0.0000
0.0000 3.8431 0.0000
0.0000 0.0000 3.8431
Ti Zn O
1 1 3
direct
0.0000 0.0000 0.0000 Ti
0.5000 0.5000 0.5000 Zn
0.0000 0.0000 0.5000 O
0.0000 0.5000 0.0000 O
0.5000 0.0000 0.0000 O
```

Summary:
**Total energy**: -33.36 eV for the cell shown
**E (MP2020)**: -35.4 eV/cell
**M_tot**: 0.00 Bohr magnetons per cell

TiZnO3 after structural relaxation. Source: the Materials Project, functional PBE.

```
TiZnO3
1.0
2.5646 1.4807 4.6946
-2.5646 1.4807 4.6946
0.0000 -2.9613 4.6946
Ti Zn O
2 2 6
direct
0.1456 0.1456 0.1456 Ti
0.8544 0.8544 0.8544 Ti
0.3607 0.3607 0.3607 Zn
0.6393 0.6393 0.6393 Zn
0.0505 0.4368 0.7765 O
0.2235 0.9495 0.5632 O
0.4368 0.7765 0.0505 O
0.5632 0.2235 0.9495 O
0.7765 0.0505 0.4368 O
0.9495 0.5632 0.2235 O
```

Summary:
**Total energy**: -71.80 eV for the cell shown
**E (MP2020)**: -75.9 eV/cell
**M_tot**: 0.00 Bohr magnetons per cell

Ti3Zn2O8 after structural relaxation. Source: the Materials Project, functional PBE.

```
Ti3Zn2O8
1.0
8.4826 0.0000 0.0000
0.0000 8.4826 0.0000
0.0000 0.0000 8.4826
Ti Zn O
12 8 32
direct
0.1141 0.3750 0.3641 Ti
0.1250 0.6359 0.6141 Ti
0.1359 0.8859 0.8750 Ti
0.3641 0.1141 0.3750 Ti
0.3750 0.3641 0.1141 Ti
>>>

The CJEU also affirmed the General Court's findings regarding the principle of equal treatment, in regard to both previous OHIM and the national court decisions, but said nothing about marketing on the internet: since this was not a matter of law, it was not subject to its revision.

To conclude, in regard to the second plea in law, alleging the violation of the principle of equal treatment with reference to a discrimination based on the company's size, the Court of Justice completely adopted the General Court's conclusions.
This Kat thinks that everyone got it right except the Opposition Division but that it would have been easier if a term other than "genuine use" had been used in the legislation in the first place -- maybe "commercially meaningful" or "significant", or whatever.  To suggest that use is not genuine suggests that it's fake, which is probably why so many businesses challenge office determinations and court rulings that their use is not genuine.  

Ein Walzertraum, by Oscar Strauss, here
Chocolate Dance here and here